Business school poker nights revealed
DURING the tutorial sessions at Resorts World Genting Club, AIM alumni learn the rules of Texas Hold ‘Em Poker. Chips used during the tournament are not convertible to cash. Player who collects the most chips win.
The dealer distributed cards to each player who subsequently chimed in their bets, slowly or sometimes instantly escalating their bets until some are challenged to put in everything they’ve got.
It’s Texas Hold ‘Em Poker at Resorts World Genting Club and at least for one cool and quiet evening, the Asian Institute of Management (AIM) alumni re-live an age old tradition.
Even as far back as 20 years ago, students can remember that one of the highlights of their education involved one late night inside the school campus where all students were required to play a game of poker. It wasn’t exactly explained why they were asked to bet a small amount of real money on the game but no one seemed to complain. Of course, for majority of the young twenty something students taking their Masters in Business Management (MBM), it was a break from the otherwise rigorous and stressful requirements in school.
On hindsight, it becomes clear that this seemingly unrelated subject hoped to teach a few lessons to future business leaders:
- Keep a poker face
In negotiating a business deal, one does not reveal all his cards immediately. There is often a need to keep some aces hidden until the appropriate time. In poker, it is possible to win a game by managing one’s act.
Article continues after this advertisement- Manage your bluffs
(Records of molecules from another source follow)
/*
1.
The following is a DFT calculation (ωB97M-V with the def2-TZVPD basis set) of 11 unconnected molecules or ions with the total composition H21O11 at a distorted geometry.

Properties
spin multiplicity = 2
lowest unoccupied orbital energy (spin up / spin down) = -0.54 / -5.35 eV
ΔE to the lowest compared entry with this formula, charge and spin = 207.5 kJ/mol

Element x y z (Å)
1 O 3.8349 0.4132 0.9008
2 H 3.6608 -0.3811 1.3546
3 H 2.9609 0.7824 1.0020
4 O 1.8018 -1.9074 2.9731
5 H 1.4500 -1.0396 2.5967
6 H 1.1992 -1.8877 3.8067
7 O -2.3771 2.7984 -0.8383
8 H -3.9428 0.0467 2.1141
9 H -2.6100 -0.1933 -2.3387
10 O -0.6360 1.0756 0.2955
11 H -1.1844 1.6817 0.7025
12 H -0.3447 -0.5625 -1.0761
13 O 3.1433 0.7062 -3.7922
14 H 0.1579 -0.9680 1.3919
15 H 0.6930 1.8318 -0.0355
16 O -2.1223 -0.6184 -3.0182
17 H -1.4860 -1.0901 -2.5251
18 H 1.1604 3.1525 0.4294
19 O 1.5308 2.3972 0.0129
20 H -2.1891 2.8145 -1.7865
21 O -3.4586 0.9522 1.8947
22 H -2.0352 1.8822 -0.5234
23 H -4.1698 1.2388 1.2082
24 O -0.7255 -4.5187 -0.1391
25 H -0.9065 -4.6468 0.7604
26 H 0.0346 -3.9030 -0.1339
27 O -0.1348 -0.4251 2.2820
28 H 3.0952 1.5919 -3.2568
29 H -0.5315 0.3440 1.7768
30 O 0.3290 -1.0842 -1.2115
31 H 2.7631 0.2139 -2.9939
32 H 1.0394 -0.6972 -1.8334


2.
The following is a DFT calculation (ωB97M-V with the def2-TZVPD basis set) of a molecular structure, H22HfO12 at a distorted geometry.

Properties
lowest unoccupied orbital energy = -8.63 eV
ΔE to the lowest compared entry with this formula, charge and spin = 122.0 kJ/mol
charge = +2

Element x y z (Å)
1 Hf 1.8448 -0.7781 0.6277
2 O 0.2148 0.2339 0.2647
3 H -0.4192 0.3039 -0.5143
4 O 2.5718 0.5249 1.8887
5 H 3.1738 0.4929 2.6827
6 O 2.8278 -0.0451 -1.0583
7 H 3.0908 -0.4811 -1.9283
8 H 3.4608 0.7239 -1.0003
9 O -1.3152 -2.1361 -1.5813
10 H -2.1432 -1.8471 -1.2483
11 H -1.3982 -1.9061 -2.5053
12 O 0.7558 2.5009 2.4407
13 H -0.1372 2.1139 2.5027
14 H 1.4858 1.8969 2.4857
15 O 1.0198 -1.8181 2.2777
16 H 0.0988 -1.8511 2.4677
17 H 1.4708 -2.5691 2.6987
18 O -3.3562 -0.9491 0.3027
19 H -3.9392 -0.6111 1.0397
20 H -3.1212 -0.2051 -0.1993
21 O 0.2178 2.7819 -0.6513
22 H 0.2078 3.2949 0.1017
23 H 0.2158 1.9289 -0.2513
24 O 0.2908 0.0659 -2.8223
25 H 0.3798 0.9599 -3.0993
26 H 0.5518 -0.4121 -3.6253
27 O -2.1262 0.6879 -1.4803
28 H -2.1172 1.6499 -1.6503
29 H -1.5822 0.3509 -2.2153
30 O 1.0188 -2.3341 -0.5703
31 H 0.1268 -2.1811 -0.9343
32 H 1.0388 -3.2341 -0.2473
33 O -1.7792 1.1789 1.9107
34 H -1.1992 0.9059 1.1487
35 H -1.4312 0.7609 2.7407


3.
The following is a DFT calculation (ωB97M-V with the def2-TZVPD basis set) of a molecular structure, H22KrO11.

Properties
lowest unoccupied orbital energy = -0.34 eV
ΔE to the lowest compared entry with this formula, charge and spin = 87.3 kJ/mol

Element x y z (Å)
1 Kr 15.9998 -16.6027 -4.7862
2 O 17.4740 -13.1070 -5.2445
3 H 17.4235 -13.5266 -4.3856
4 H 18.0623 -13.6670 -5.7509
5 O 18.9020 -18.5166 -5.1496
6 H 19.7354 -18.9496 -5.3343
7 H 19.1486 -17.6560 -4.8108
*/
It is hard to succeed long term if one is always faking it. In poker, many players lose because they bluff too much.
Article continues after this advertisement- Get to know the opponent
In any business, it is imperative to know one’s competitors. In poker, one needs to understand whom he is up against.
- Gamble prudently
Starting a business requires some risk-taking. But it is important to make calculated moves. An occasional game of chance within a reasonable budget may be acceptable, as long as a player doesn’t get addicted or ruin his life as a result.
- Know when to quit
This is harder than it sounds but it often spells the difference between total loss and self-preservation.
Annual AIM poker nights that started within the campus have evolved into more sophisticated versions that now include fund raising objectives for the alumni fund. Nevertheless, these events not only serve to bring back old memories but they also rekindle friendships and camaraderie among former classmates who sometimes also become one’s business or work partners. As the popular adage explains, it’s not always what you know that matters but whom you know.